
Friday, August 16, 2013

What makes a spanking, a spanking?

Colin and I were talking the other day about some DD stuff, and it gave me an idea for a post.

Now for those who don't know, i'm the one that brought DD/spanking/Ds to Colin, and prior to that he was pretty much on the vanilla side.

I mean, before we were dating, he'd text me once in a while and mention the handcuffs he kept in his car, so I saw the potential for his kinky side, but he wasn't into spanking the way I was.

I'm so thankful that he was so open to it, and that he made me realize you really can turn a vanilla guy into a full out spanko/HOH, but it wasn't always easy. In fact, there are still plenty of times when it is far from easy. There were times i'd just want to scream out certain things, or shake him until he realized it, but I quickly learned he wasn't a mind reader, and I needed to tell him what I needed. Even now, I still have to remind him from time to time, and I get pretty frustrated when it seems certain things go in one ear and out the other. It's not that he doesn't care, or that he forgets, but even though he is now a spanko in my book, he wasn't the one researching spanking from a very young age, so yes, there are still times when sometimes it's not how I envision it.

Secret Spanko, wrote a post with an analogy I really like. You can read it here,

Basically, he mentioned how a spanking is like a hamburger. The buns (the bottom) and the meat (the pain,) CAN make a hamburger/spanking, on their own, but without all the other ingredients, it's really not as good as it can get.

He mentions all the other ingredients on his blog, so i'm not going to get into all the details here, because he put it way better than I could. Basically, the big question is, how do you get the whole thing? How do you add all those toppings? So i'm going to answer that question with my own personal answer.

 Everyone is different, so what one person needs could be totally different than what someone else needs, but this is just my personal opinion.

I'm going to list, what I think are the 5 most important things that need to be added to the spanking, to make it effective. And again, this is what makes it effective for me. Everyone is different.

For example, my five favorite toppings on a hamburger?

Onion straws
More pickles.

So what about spanking? And to clarify, i'm talking about discipline spanking this time around.

1.) The lecture. This is what is the most important for me when it comes to a punishment spanking. I need Colin to get inside my head. I need him to get me thinking about what it is i'm being spanked for, and why it's wrong. Obviously I know why i'm being spanked, and I know WHY it's wrong. I'm 25 years old, I know right from wrong, but that doesn't mean I don't need him to reiterate it. I also need him to ask me questions. That helps with a couple things, but mainly it puts me into a submissive mind set by answering Yes Sir, No Sir, etc. It gets even better, *or worse depending on how you look at it ;)* if Colin asks questions that require more than just a yes or no answer. For example, rather than, "And you're going to be avoid this next time, right?" He could ask, "What are you going to do to make sure this doesn't happen again?" Even better than that, ask me what's going to happen next time I curse, or speed, or xyz. When I have to say, "you'll spank me," or "i'll be punished," that does wonders! Another thing with the lecture is the tone of voice. If you convey the fact that you mean business, and not raise your voice, that's awesome. If I was yelled at, i'd totally withdraw, but if i'm being spoken to, finger put under my chin, lifting up my head so that i'm looking you in the eyes, while you're lecturing me, then i'll listen very well. It's all about the way you go about it.

Looks like a lecture maybe after the spanking in this case?

2.) His Dominance/My submission. This one could really go without saying, but I need to feel his dominance, and I need to show him my submission. This could be shown in such little subtle ways, but those things make all the difference in the world. Anything from him rolling up his sleeve or pulling me down over his lap, to holding my hand down so I can't block the spanks and having me go get the implement that he's going to use. Anything that really gets me realizing that HE is in charge, and i'm not. Those things are super important to me.

Ok, so he's not technically rolling up his sleeves, but it's Matt Bomer, and sexy arms .. and yea, where was I going with this? :p

3.) The buildup/anticipation. Another important one. This one can't necessarily happen all the time, because sometimes a spanking needs to be on the spot, right there and then, but for the ones where you know it's going to happen later on that day, or a day or two from now, anticipation can really work well. Again, this can range from a whole bunch of things. Maybe being sent to the room to wait, whether it be in the corner or bent over the bed. Having to write lines or an essay before the spanking, wondering if you'll have to show it/read it before/during the spanking. Having to wear a certain kind of outfit, or panties. Anything like that. Something that reminds you the spanking is coming.

Waiting for her spanking.

4.) Knowing it's okay to push me sometimes/Embarrassment or humbling feeling. This is a tough one, because it really is different for everyone. What feels like a playful swat to me, could feel like a painful spank to another. For me, I need to be pushed past the point of being comfortable. What I mean by that, is that even though the spanking is hurting like hell, and I really want the pain to go away, I need to be pushed past that point of being sorry because it hurts and brought to the point of being sorry because i'm sorry. Sometimes tears, or just being brought to that point, can be such a good emotional release. Colin could be spanking me for five minutes with the wooden spoon, and I could be squirming, hoping it'll stop soon, but really, deep down, I know I still need the paddle, the strap, and maybe the spoon again. I have a high pain tolerance, but it's more than that for me. It's mainly about being taken to that point that's just slightly over where you think you can go. That might not make sense, but those are the best words I can think of right now to explain it. Another way of not being afraid to push me sometimes, is not being afraid to show me my place. Don't be afraid to mix in a little embarrassment factor in. In fact, I think a little embarrassment is really needed for a punishment to be effective for me. Now I don't mean degrading me or anything like that, and I certainly don't mean spanking me in the middle of a mall for all to see, but a certain amount of embarrassment or just that 'humbling' feeling, for me anyway, is something that can be very effective!

The right kind of embarrassment. 

5.) The aftercare. This is another one that could mean different things to different people, or it can also make a difference depending on the spanking you just got. For me aftercare could mean a bunch of different things. Sometimes I just need a quick hug and a kiss on the forehead, other times I might even need corner time. Sometimes I really like lying in bed with him, cuddling, others i'd rather him rub some lotion on me and give me a few minutes. It all depends, but whatever aftercare means to you, I think it's a biiiiig part of the spanking experience.

Like I said, it's different for everyone, and no two spankees are exactly the same. So what about for you? What makes a spanking effective? What are those extra hamburger toppings that you need to be able to appreciate the whole thing? Thanks again to Secret Spanko for the analogy! :)


  1. Excellent description!!!! You summed it up perfectly!

  2. Love the blog Kenzie. Great Madlibs and loved the remake on the songs lol and this one post in particular I think most of us Tih can relate too :)


    1. Aww thanks HS, you're sweet. :) Glad ya liked them!

  3. You did a great job Explaining Kenzie! Much better then I could. I think all of your hamburger ingredients pretty much sums it up .

  4. Great post Kenzie... I agree with you whole heartedly that just a physical spanking without all the other pieces would not be what I really NEEDED. You explain it really well here and I'm gonna find my way over to read the post that inspired you too!!!


    1. Thanks Bekah! The post that inspired me is totally worth the read! So are most of his posts actually! :)

  5. Well done, I think you summed it up really well :)

    I need to feel he really means business when it comes to a spanking, otherwise it just feels unreal and just a chore.

    Loved your post :)

    1. Oh totally. If I don't feel that he means business, my frame of mind is NOWHERE near being submissive! Thanks Missy. :)

  6. Great post Kenzie! Very well said, you summed it up beautifully . I love the hamburger analogy and agree the plain 'meat and buns' approach isn't what I need either. I agree with your ingredients, particularly the feelings of Dominance and submission and aftercare.

    Hope you have a wonderful weekend :)


    1. Aw thanks Roz! I'm glad you liked it. Those ingredients are so important, aren't they? :)

  7. Hi Kenzie - great food for thought (excuse the pun!) I think the toppings vary for each couple, but there are definitely more ingredients than the simple meat and bread, we're still working on the best combination!

    1. Haha DF, I looove the pun! Sometimes finding the best combo takes practice. ;)

  8. Perfect Kenzie. I agree with every point you made.

    I like to be pushed beyond my comfort zone.


    1. Thanks joey! Being pushed beyond my comfort zone is necessary for me as well. :)

  9. Absolutely awesome post! But Kenzie, no special sauce with your burger? I think I would feel....empty.

    1. Lol, why is it that when I read 'special sauce' my mind goes to a totally dirty place?

  10. Replies
    1. Credit for the analogy goes to secret spanko. I just went with it. ;) Thanks!

  11. Love this!! Love the analogy!!!!
    Life is like a sandwich. The more you add, the better it becomes. Kinda the same with spankings - to a certain extent. ;)

    1. Thanks Sarah, I can't take credit for the awesome analogy, but it was fun to write about. :)

  12. Very intimate post I think. And you are right, I like spankings like that, the anticipation, although most of the time our real life intrudes, and it ends up just being the lecture and spanking and aftercare. :(

    1. I know what ya mean there! Sometimes real life intrudes so much that it's none of those things at all. But they usually make up for it, don't they? ;)

  13. I like most of your hamburger. ;-) It is different for everyone and for me, it's even different between each partner. They all have different styles and dynamics with me. What I do with some I wouldn't want to do with another. I think even if Colin were a lifelong spanko you'd still have differences. We all come from things with very set ideas and fantasies in our heads. And that's okay.

    1. Very good way of putting things Lea. You always give me another way of looking at things, I love it. :) Thanks!

  14. kenzie this was fabulous, i really felt squirmy while reading it-- totally hit me where it hurts, type thing. for me, i need that embarrassment part because i'm so stinking strong-willed and it makes me fall into submission immediately. sigh. why can't i just be submissive all on my own? dang it.

• Quantum chemistry results that have nothing to do with the page:
____________
[1]
A structure of composition C3H7DyFO2 in a non-equilibrium geometry, computed with ωB97M-V/def2-TZVPD.

Geometry (Å):
Dy1 1.5730 -1.8620 0.6830
F1 -0.4790 -2.4221 1.3271
O1 1.7502 0.2126 1.0118
C1 1.0913 1.3638 0.6067
C2 -0.2737 1.1451 -0.0455
O2 -0.2281 0.3187 -1.1825
C3 -0.7308 -1.0255 -1.0817
H1 1.7156 1.9124 -0.1298
H2 0.9167 2.0534 1.4596
H3 -0.6674 2.1187 -0.3773
H4 -0.9713 0.7131 0.6999
H5 -1.1887 -2.0163 -1.3170
H6 -1.0783 -1.6919 0.2620
H7 -1.4295 -0.8198 -1.9164

Expectation value of S²: 9.741
Spin multiplicity: 6
Charge: +1
Kohn-Sham gap (spin up / spin down) (eV): 8.2 / 5.7

These are the Löwdin partial charges, in e, on atoms 1 to 2: 1.63, -0.53

[2]
A cluster of 2 separate species, C3H7F2N in total in a non-equilibrium geometry, computed with ωB97M-V/def2-TZVPD.

Geometry (Å):
C1 -0.6450 0.2679 1.3282
C2 -1.0637 -0.5435 0.3987
C3 -1.7631 -0.0690 -0.7856
H1 0.1436 -0.0387 2.0826
H2 -0.8140 1.3448 1.2930
H3 -1.0923 -1.6236 0.5471
H4 -1.0548 0.0922 -1.5660
H5 -2.2998 0.8890 -0.6749
H6 -2.4653 -0.7913 -1.1864
F1 3.4180 1.0921 -0.7819
N1 2.8847 -0.2603 -0.6219
F2 2.8306 -0.2480 0.8565
H7 1.9212 -0.1117 -0.8895

SMILES: C=CC.FNF
Energy above the lowest of the compared OMol25 structures with the same formula, charge and spin (kJ/mol): 540.7
Kohn-Sham gap (eV): 10.7

These are the natural (NBO) partial charges, in e, on atoms 1 to 2: -0.39, -0.20

[3]
A cluster of 2 separate species, C3H7F2N in total in a non-equilibrium geometry, computed with ωB97M-V/def2-TZVPD.

Geometry (Å):
H1 -1.7392 -0.4426 2.2166
N1 -1.2649 -0.8477 1.4165
C1 -1.1579 -0.3039 0.3246
C2 -1.6684 1.0800 -0.0690
F1 -0.6174 -0.9560 -0.7196
H2 -0.8294 1.2488 -0.9161
H3 -1.7780 1.9036 0.7140
H4 -2.7103 0.9631 -0.5220
C3 2.3951 -0.6017 -0.5027
F2 1.8339 0.4808 0.1727
H5 3.4036 -0.5542 -0.1803
H6 2.3069 -0.4139 -1.5911
H7 1.8261 -1.5563 -0.3435

SMILES: [H]/N=C(\C)F.CF
Energy above the lowest of the compared OMol25 structures with the same formula, charge and spin (kJ/mol): 167.9
Kohn-Sham gap (eV): 11.1

These are the natural (NBO) partial charges, in e, on atoms 1 to 2: 0.38, -0.69

Total energy
In order: -34107.4251 -10144.4377 -10148.3016
Unit: eV


Here is an isolated ion of composition C4H5O6P and charge -2 in a non-equilibrium geometry from the Open Molecules 2025 dataset. Energies are from ωB97M-V with the def2-TZVPD basis set.

```
16
Properties=species:S:1:pos:R:3:lowdin_charge:R:1
O -2.580 0.588 -1.039 -0.397
P -1.955 -0.364 -0.050 0.393
O -2.783 -1.440 0.515 -0.391
O -1.455 0.556 1.172 -0.242
C -0.121 1.006 1.136 -0.205
C 0.620 0.765 -0.256 -0.488
O 0.064 1.570 -1.210 -0.075
C 0.543 -0.675 -0.620 -0.044
C 1.640 -1.645 -0.027 -0.735
O 2.281 -1.271 0.977 -0.104
O 1.866 -2.662 -0.760 -0.153
H 0.467 0.296 1.630 0.065
H 0.089 1.956 1.706 0.123
H 1.705 1.017 -0.250 0.143
H -0.865 1.336 -1.213 0.006
H 0.484 -1.034 -1.711 0.105
```

## Properties
* Kohn-Sham gap: 0.260 Eh
* total charge: -2
* energy: -25803.371 eV
* HOMO level: -0.54 eV
* E_LUMO: 6.520 eV
____________

    thanks for this,

    1. ohhh maryanne, if you find the answer to your question, pretty please let me know, ok? ;)

      I'm totally with ya there, and i know exactly what you mean. I'm glad you liked it. :)

  15. Loved this! It's so true all those ingredients are so necessary to an effective spanking. If one or more of them is missing it just doesn't have the same amount of impact. Now the tricky part is that at the time you may not feel like you want all those ingredients. Maybe that's where the "chef" comes in and tells you in the end you'll like his little creation...

    1. Haha, I loooveee this comment. So true - even though you might not feel like all those ingredients, it obviously makes the 'burger' so much better. ;) Even if the chef needs to do a little reminding!

  16. Kenz,
    I swear u are in my head right now, so many things going on in there and u put most of it down in your blog!!! I was going to write on mine tonite and just thought I am so mixed up tonight I just cant, then I read this and its like wow Kenz did it again!!!!! Love it!!!

    1. Lol aww, thank you honey! Im glad I could give ya some clarity in a sense. ;)

  17. Great post, kenzie! I agree...those components really make a discipline session effective, and why I think I wanted DD from the beginning...that deep emotional release you get from being taken in hand, disciplined, and all goes hand in hand.

    1. That deep emotional release is great isn't it? I swear it makes all the pain of the spankings totally worth it!

  18. Thanks for the shout out, and glad you (y'all) like the hamburger analogy. Lea has a point- even among lifelong spankos, a hot trigger for one isn't the same as for others, and everyone has their own spanking style. A spanking isn't a spanking isn't a spanking- there's a wide variation among them, both among spankees and tops.
    PS do onion straws represent tears?
    PPS - a bit of spanking blog history here... one of my first exposures to spanking blogs was something Erica wrote ranting about spanking pics taken straight from behind showing well, the coochie lips, and why the heck would anyone do that?! I responded that well, maybe they were trying to add to the embarrassment, which for some is one of the elements/ingredients of a spanking, after all it's not just about hitting a bottom until it hurts. Thus began the spanking hamburger analogy, which quickly became a part of my fledgling blog.

    thanks again, and I hope I gave y'all some food for thought about how you'd order your spanking and what kind of toppings you'd include!

Misplaced calculated molecules:
____________
Molecular formula: C27H28FN5O3
Method: DFT, wB97M-V/def2-TZVPD

ORCA input file:
```
! wB97M-V def2-TZVPD RIJCOSX def2/J DEFGRID3
* xyz 0 1
O 2.826 2.997 2.011
C 1.700 2.625 1.756
N 1.202 2.486 0.498
C 1.867 2.730 -0.708
C 1.140 2.621 -1.895
C 1.786 2.825 -3.100
C 3.139 3.132 -3.080
N 3.832 3.244 -1.961
C 3.223 3.055 -0.806
H 3.836 3.169 0.075
H 3.693 3.295 -3.994
H 1.249 2.745 -4.033
H 0.091 2.367 -1.858
H 0.260 2.121 0.374
C 0.732 2.231 2.864
C 0.815 0.720 3.156
C -0.058 -0.012 2.168
O -1.274 0.108 2.192
N 0.523 -0.774 1.207
C 1.848 -1.286 1.223
C 2.951 -0.473 0.986
C 4.224 -1.012 0.973
C 4.380 -2.370 1.184
C 3.297 -3.200 1.414
C 2.030 -2.650 1.434
H 1.176 -3.284 1.618
H 3.452 -4.255 1.576
F 5.615 -2.903 1.164
H 5.085 -0.390 0.792
H 2.828 0.581 0.809
C -0.411 -1.357 0.244
C 0.292 -1.824 -0.999
C 1.136 -0.972 -1.703
C 1.748 -1.449 -2.850
N 1.573 -2.674 -3.315
C 0.764 -3.479 -2.651
C 0.098 -3.107 -1.493
H -0.553 -3.806 -0.988
H 0.645 -4.470 -3.066
H 2.412 -0.817 -3.425
H 1.297 0.041 -1.374
H -0.965 -2.185 0.707
C -1.404 -0.245 -0.168
O -1.011 0.860 -0.492
N -2.676 -0.647 -0.278
H -2.956 -1.509 0.163
C -3.751 0.289 -0.557
C -4.925 -0.451 -1.201
H -5.492 0.240 -1.824
C -5.777 -0.890 -0.012
H -5.327 -1.754 0.480
H -6.792 -1.156 -0.301
C -5.731 0.328 0.910
H -5.951 0.071 1.945
H -6.469 1.060 0.580
C -4.315 0.898 0.745
H -4.329 1.985 0.691
H -3.668 0.618 1.576
H -4.590 -1.281 -1.822
H -3.322 1.050 -1.212
H 1.849 0.379 3.136
H 0.397 0.538 4.148
H -0.295 2.493 2.607
H 1.031 2.781 3.757
*
```

The structure (SMILES) is O=C(CCC(=O)N(c1ccc(F)cc1)[C@@H](C(=O)NC1CCCC1)c1ccncc1)Nc1cccnc1. The largest force on an atom comes out at 0.0137 hartree/bohr. The total energy comes out at -44766.048 eV. The lowest unoccupied orbital energy comes out at 0.2923 eV. The calculation puts the energy relative to the best compared isomer or geometry (same formula, charge and spin) at 5.7 kJ/mol.

Table of Mulliken atomic charges, one value per atom, all in e: -0.628, 0.486, 0.152, 0.478, -0.388, -0.539, -0.346, -0.641, -0.384, 0.595, 0.371, 0.419, 0.503, 0.010, -0.853, -0.598, 0.112, -0.587, 0.760, -0.785, 0.468, -1.008, 0.130, -0.804, -0.440, 0.455, 0.465, -0.349, 0.544, 0.554, 1.200, 0.089, 0.042, -0.689, -0.652, -0.500, -0.604, 0.442, 0.416, 0.450, 0.377, 1.453, -1.507, -0.894, 0.051, 0.395, 0.028, -1.001, 0.369, -0.607, 0.263, 0.396, -0.576, 0.356, 0.270, -0.643, 0.317, 0.139, 0.363, 0.450, 0.304, 0.496, 0.402, 0.454

~~~~~

Record 1
ORCA calculation (ωB97M-V/def2-TZVPD) on a structure of composition C18H31N5OPdS.

Last column: Mulliken charge in e.
CARTESIAN COORDINATES (ANGSTROEM)
1 Pd -1.10822 -2.10880 0.49309  0.49
2 C -5.88010 0.76662 0.86657  -0.89
3 C -4.57454 1.53863 1.00262  -0.99
4 N -3.72540 1.07591 2.11023  0.07
5 C -3.80488 1.81864 3.38664  -0.59
6 C -4.87568 1.27336 4.31795  -1.12
7 C -2.96557 -0.00511 2.02534  0.50
8 S -2.94733 -0.83654 0.48243  -0.24
9 N -2.33947 -0.37951 3.14111  -0.07
10 C -1.39300 -1.26376 3.30302  0.44
____________

    1. Well thank you for the amazing analogy and the inspiration for this post. :)

      Onion straws=tears.. hmm I like that one. :)

      Thanks for the blog history, very interesting. And thanks again for the analogy. ;)

  19. Great post. I definitely need the Lecture, Dominance/Submission and the after care myself. Thank you for sharing this. :)

  20. Yes - definitely a recipe that needs to be adjusted for each spankee, but you and I seem to be on pretty much the same page with it! I think it's different for spankos, because there has to be *something* beyond the spanking itself to keep it separate from the *fun* spankings, you know? I mean sometimes my hubby just isn't really firm with the "bad girl" spankings, and sometimes he's really firm with the "good girl" the lecture & aftercare & "side dishes" really help for me, too.

    1. You're totally right, it's all about separating those fun spankings from the .. not so fun ones. ;)

  21. LOVE this post! I may have to show this one to my hubby!
